What is needed: restate everything further below with every line break kept.

-- begin --
ORCA calculation (wB97M-V/def2-TZVPD) on an isolated molecule of C5H6O.

```
! wB97M-V def2-TZVPD RIJCOSX def2/J DEFGRID3
* xyz 0 1
O 1.31 0.04 -2.07
C 0.36 -0.01 0.16
C 1.00 0.64 -1.07
C -0.75 0.83 0.66
C -1.54 1.53 1.23
C -0.04 -1.46 -0.10
H -0.32 -1.95 0.84
H 1.19 1.73 -0.97
H -2.24 2.14 1.76
H 1.15 0.04 0.93
H -0.90 -1.51 -0.78
H 0.78 -2.01 -0.57
*
```

The SMILES is C#C[C@@H](C)C=O. As for the energy relative to the best compared isomer or geometry (same formula, charge and spin): 1.863 eV. The value obtained for the total energy is -269.27779 Ha. For the gap between HOMO and LUMO, the calculation gives 10.75 eV. Its LUMO energy is 0.031 Ha.

Calculated atomic charges, method natural (NBO), unit e: number 1, O, carries -0.5064; number 2, C, carries -0.4055; number 3, C, carries 0.4611; number 4, C, carries -0.0012; number 5, C, carries -0.2347; number 6, C, carries -0.5947; number 7, H, carries 0.2180; number 8, H, carries 0.1175; number 9, H, carries 0.2433; number 10, H, carries 0.2514; number 11, H, carries 0.2213; number 12, H, carries 0.2300

=====

ORCA calculation (wB97M-V/def2-TZVPD) on a structure of composition AlHO5P.

```
! wB97M-V def2-TZVPD RIJCOSX def2/J DEFGRID3
* xyz -1 1
P 0.21 1.51 0.14
Al 1.58 -1.46 0.18
O 1.71 1.60 0.46
O -0.89 2.56 0.00
O -1.11 -2.23 -0.21
O -0.25 0.48 1.23
O 0.07 0.57 -1.10
H -1.32 -3.03 -0.71
*
```

As for the energy relative to the best compared isomer or geometry (same formula, charge and spin): 0.793 eV. The value obtained for the total energy is -960.53068 Ha. For the gap between HOMO and LUMO, the calculation gives 4.49 eV. Its LUMO energy is -0.014 Ha.

Calculated atomic charges, method natural (NBO), unit e: number 1, P, carries 2.3704; number 2, Al, carries 0.8582; number 3, O, carries -1.0059; number 4, O, carries -0.9874; number 5, O, carries -1.1365; number 6, O, carries -0.7379; number 7, O, carries -0.7707; number 8, H, carries 0.4098

=====

ORCA calculation (wB97M-V/def2-TZVPD) on a structure of composition C28H27Br2F2FeGeN2OS2.

```
! wB97M-V def2-TZVPD RIJCOSX def2/J DEFGRID3
* xyz -2 2
Br 7.45 1.55 1.91
Br 4.15 0.44 -2.53
Ge -1.63 1.75 -2.58
Fe -0.12 -0.39 -0.06
S -0.41 1.55 1.09
S -0.51 -1.55 1.86
F -3.58 -3.51 -2.39
F -5.43 0.00 0.09
O 2.04 0.06 -0.37
N 0.23 -2.10 -1.05
N 2.33 0.14 2.36
C -1.25 -0.78 4.41
C 4.65 0.81 2.13
C 0.54 -4.39 -2.55
C -0.72 -3.83 -2.38
C -0.86 -2.68 -1.61
C -3.38 -2.40 -1.60
C -2.53 3.07 -1.43
C -3.06 0.73 -3.51
C 4.31 0.58 -0.64
C -3.08 -0.17 -0.02
C -0.88 -0.30 3.03
C 5.55 0.93 -0.11
C 3.15 0.33 0.13
C -2.10 -1.98 -1.28
C -4.32 -0.64 -0.36
C 1.43 -2.65 -1.21
C -1.93 -0.83 -0.47
C 5.72 1.05 1.24
C -1.07 2.10 3.71
C 3.63 0.61 4.30
C -4.52 -1.76 -1.17
C 1.63 -3.79 -1.95
C -0.81 2.83 -4.04
C -0.25 0.63 -1.83
C -0.82 1.01 2.70
C 2.44 0.22 3.66
C 4.72 0.90 3.54
C 3.39 0.43 1.58
H -1.30 -1.86 4.43
H -1.59 -4.28 -2.84
H -2.66 -0.21 -3.90
H -3.88 0.49 -2.83
H -1.63 1.75 4.58
H 2.24 -2.12 -0.73
H -0.03 -0.09 -2.63
H -3.15 2.58 -0.69
H 0.65 -5.28 -3.16
H -5.51 -2.10 -1.44
H -1.54 3.50 -4.50
H 0.01 3.42 -3.64
H 1.55 -0.04 4.22
H -1.62 2.92 3.25
H -1.78 3.67 -0.90
H -0.12 2.52 4.06
H 2.63 -4.20 -2.06
H -3.45 1.32 -4.34
H -2.22 -0.39 4.74
H -2.98 0.69 0.63
H 0.64 1.28 -1.76
H -0.40 2.17 -4.81
H 3.67 0.68 5.38
H -3.15 3.72 -2.05
H 5.66 1.19 4.00
H -0.51 -0.47 5.17
H 6.38 1.12 -0.78
*
```

As for the energy relative to the best compared isomer or geometry (same formula, charge and spin): 0.000 eV. The value obtained for the total energy is -10752.75575 Ha. For the gap between HOMO and LUMO (alpha / beta), the calculation gives 4.36 / 4.50 eV. Its LUMO energy (alpha / beta) is 0.146 / 0.146 Ha.
-- stop --

ORCA calculation (wB97M-V/def2-TZVPD) on an isolated molecule of C5H6O.

```
! wB97M-V def2-TZVPD RIJCOSX def2/J DEFGRID3
* xyz 0 1
O 1.31 0.04 -2.07
C 0.36 -0.01 0.16
C 1.00 0.64 -1.07
C -0.75 0.83 0.66
C -1.54 1.53 1.23
C -0.04 -1.46 -0.10
H -0.32 -1.95 0.84
H 1.19 1.73 -0.97
H -2.24 2.14 1.76
H 1.15 0.04 0.93
H -0.90 -1.51 -0.78
H 0.78 -2.01 -0.57
*
```

The SMILES is C#C[C@@H](C)C=O. As for the energy relative to the best compared isomer or geometry (same formula, charge and spin): 1.863 eV. The value obtained for the total energy is -269.27779 Ha. For the gap between HOMO and LUMO, the calculation gives 10.75 eV. Its LUMO energy is 0.031 Ha.

Calculated atomic charges, method natural (NBO), unit e: number 1, O, carries -0.5064; number 2, C, carries -0.4055; number 3, C, carries 0.4611; number 4, C, carries -0.0012; number 5, C, carries -0.2347; number 6, C, carries -0.5947; number 7, H, carries 0.2180; number 8, H, carries 0.1175; number 9, H, carries 0.2433; number 10, H, carries 0.2514; number 11, H, carries 0.2213; number 12, H, carries 0.2300

=====

ORCA calculation (wB97M-V/def2-TZVPD) on a structure of composition AlHO5P.

```
! wB97M-V def2-TZVPD RIJCOSX def2/J DEFGRID3
* xyz -1 1
P 0.21 1.51 0.14
Al 1.58 -1.46 0.18
O 1.71 1.60 0.46
O -0.89 2.56 0.00
O -1.11 -2.23 -0.21
O -0.25 0.48 1.23
O 0.07 0.57 -1.10
H -1.32 -3.03 -0.71
*
```

As for the energy relative to the best compared isomer or geometry (same formula, charge and spin): 0.793 eV. The value obtained for the total energy is -960.53068 Ha. For the gap between HOMO and LUMO, the calculation gives 4.49 eV. Its LUMO energy is -0.014 Ha.

Calculated atomic charges, method natural (NBO), unit e: number 1, P, carries 2.3704; number 2, Al, carries 0.8582; number 3, O, carries -1.0059; number 4, O, carries -0.9874; number 5, O, carries -1.1365; number 6, O, carries -0.7379; number 7, O, carries -0.7707; number 8, H, carries 0.4098

=====

ORCA calculation (wB97M-V/def2-TZVPD) on a structure of composition C28H27Br2F2FeGeN2OS2.

```
! wB97M-V def2-TZVPD RIJCOSX def2/J DEFGRID3
* xyz -2 2
Br 7.45 1.55 1.91
Br 4.15 0.44 -2.53
Ge -1.63 1.75 -2.58
Fe -0.12 -0.39 -0.06
S -0.41 1.55 1.09
S -0.51 -1.55 1.86
F -3.58 -3.51 -2.39
F -5.43 0.00 0.09
O 2.04 0.06 -0.37
N 0.23 -2.10 -1.05
N 2.33 0.14 2.36
C -1.25 -0.78 4.41
C 4.65 0.81 2.13
C 0.54 -4.39 -2.55
C -0.72 -3.83 -2.38
C -0.86 -2.68 -1.61
C -3.38 -2.40 -1.60
C -2.53 3.07 -1.43
C -3.06 0.73 -3.51
C 4.31 0.58 -0.64
C -3.08 -0.17 -0.02
C -0.88 -0.30 3.03
C 5.55 0.93 -0.11
C 3.15 0.33 0.13
C -2.10 -1.98 -1.28
C -4.32 -0.64 -0.36
C 1.43 -2.65 -1.21
C -1.93 -0.83 -0.47
C 5.72 1.05 1.24
C -1.07 2.10 3.71
C 3.63 0.61 4.30
C -4.52 -1.76 -1.17
C 1.63 -3.79 -1.95
C -0.81 2.83 -4.04
C -0.25 0.63 -1.83
C -0.82 1.01 2.70
C 2.44 0.22 3.66
C 4.72 0.90 3.54
C 3.39 0.43 1.58
H -1.30 -1.86 4.43
H -1.59 -4.28 -2.84
H -2.66 -0.21 -3.90
H -3.88 0.49 -2.83
H -1.63 1.75 4.58
H 2.24 -2.12 -0.73
H -0.03 -0.09 -2.63
H -3.15 2.58 -0.69
H 0.65 -5.28 -3.16
H -5.51 -2.10 -1.44
H -1.54 3.50 -4.50
H 0.01 3.42 -3.64
H 1.55 -0.04 4.22
H -1.62 2.92 3.25
H -1.78 3.67 -0.90
H -0.12 2.52 4.06
H 2.63 -4.20 -2.06
H -3.45 1.32 -4.34
H -2.22 -0.39 4.74
H -2.98 0.69 0.63
H 0.64 1.28 -1.76
H -0.40 2.17 -4.81
H 3.67 0.68 5.38
H -3.15 3.72 -2.05
H 5.66 1.19 4.00
H -0.51 -0.47 5.17
H 6.38 1.12 -0.78
*
```

As for the energy relative to the best compared isomer or geometry (same formula, charge and spin): 0.000 eV. The value obtained for the total energy is -10752.75575 Ha. For the gap between HOMO and LUMO (alpha / beta), the calculation gives 4.36 / 4.50 eV. Its LUMO energy (alpha / beta) is 0.146 / 0.146 Ha.